## Work order
Please give back the part of the lines further below that starts with the line with "27.44" and stops after the one with "53.32".

## Input
No. 1
For Y2CoF, the GGA+U geometry in Alexandria gives the computed X-ray diffraction stick pattern in this record (a wavelength of 1.5418 Å).
Lines closer than 0.1° are merged.

Peak list (10 most intense, 10° ≤ 2θ ≤ 90°, in order of rising 2θ)
| 2θ/deg | I (rel.) |
| --- | --- |
| 27.44 | 100 |
| 32.42 | 7 |
| 45.10 | 43 |
| 46.50 | 19 |
| 52.35 | 16 |
| 54.84 | 25 |
| 67.87 | 5 |
| 72.59 | 11 |
| 82.24 | 6 |
| 85.27 | 11 |

Cell and atoms:
Unit cell a=7.0446 b=7.0446 c=7.0446 alpha=133.84 beta=133.84 gamma=67.34
Element x y z (fractional)
Y1 0.1043 0.6250 0.9793
Y2 0.3750 0.3543 0.4793
Y3 0.6457 0.1250 0.0207
Y4 0.8750 0.8957 0.5207
Co1 0.2500 0.7500 0.5000
Co2 0.5000 0.5000 0.0000
F1 0.0000 0.0000 0.0000
F2 0.7500 0.2500 0.5000

***

No. 2
For Zr3CoF6, the GGA+U geometry in Alexandria gives the computed X-ray diffraction stick pattern in this record (a wavelength of 1.5418 Å).
Lines closer than 0.1° are merged.

Peak list (10 most intense, 10° ≤ 2θ ≤ 90°, in order of rising 2θ)
| 2θ/deg | I (rel.) |
| --- | --- |
| 16.93 | 83 |
| 27.89 | 51 |
| 34.25 | 100 |
| 35.79 | 54 |
| 40.95 | 24 |
| 44.85 | 37 |
| 53.32 | 33 |
| 53.64 | 21 |
| 57.52 | 21 |
| 57.62 | 24 |

Cell and atoms:
Unit cell a=5.3568 b=5.3568 c=5.3568 alpha=97.97 beta=97.97 gamma=97.97
Element x y z (fractional)
Zr1 0.0000 0.5000 0.5000
Zr2 0.5000 0.0000 0.5000

## Done
| 27.44 | 100 |
| 32.42 | 7 |
| 45.10 | 43 |
| 46.50 | 19 |
| 52.35 | 16 |
| 54.84 | 25 |
| 67.87 | 5 |
| 72.59 | 11 |
| 82.24 | 6 |
| 85.27 | 11 |

Cell and atoms:
Unit cell a=7.0446 b=7.0446 c=7.0446 alpha=133.84 beta=133.84 gamma=67.34
Element x y z (fractional)
Y1 0.1043 0.6250 0.9793
Y2 0.3750 0.3543 0.4793
Y3 0.6457 0.1250 0.0207
Y4 0.8750 0.8957 0.5207
Co1 0.2500 0.7500 0.5000
Co2 0.5000 0.5000 0.0000
F1 0.0000 0.0000 0.0000
F2 0.7500 0.2500 0.5000

***

No. 2
For Zr3CoF6, the GGA+U geometry in Alexandria gives the computed X-ray diffraction stick pattern in this record (a wavelength of 1.5418 Å).
Lines closer than 0.1° are merged.

Peak list (10 most intense, 10° ≤ 2θ ≤ 90°, in order of rising 2θ)
| 2θ/deg | I (rel.) |
| --- | --- |
| 16.93 | 83 |
| 27.89 | 51 |
| 34.25 | 100 |
| 35.79 | 54 |
| 40.95 | 24 |
| 44.85 | 37 |
| 53.32 | 33 |